********
(1)
Density functional theory data (wB97M-V/def2-TZVPD) for a 2-piece molecular cluster, C2H3IN2 overall.

For the HOMO-LUMO gap, the calculation gives 6.888 eV. Its charge is 0. The HOMO energy is -8.87 eV.

Geometry (Å):
C -1.5246 0.0879 -0.6444
C 1.0136 -0.4205 0.6040
N -2.1662 -0.8431 -0.9497
N -0.6375 0.9019 -0.4682
I 2.5465 -0.7564 -0.7985
H 1.2930 0.3947 1.2715
H 0.1951 -1.0772 0.7278
H -0.7198 1.7128 0.2575

Forces on atoms 1 to 6 (eV/Å):
C -4.3 -4.9 -1.2
C 0.2 2.7 -2.3
N -0.4 0.2 0.2
N 6.5 5.6 3.6
I -1.2 0.0 0.9
H -0.3 -0.6 0.2

Atomic charges from the Mulliken analysis, expressed in e, are listed below: C 0.444; C -0.600; N -0.522; N -0.544; I 0.221; H 0.297; H 0.429; H 0.274


(2)
Density functional theory data (wB97M-V/def2-TZVPD) for an isolated molecule of F2HPS2.

For the HOMO-LUMO gap, the calculation gives 9.265 eV. Its charge is 0. As for the SMILES: FP(F)(=S)S. The HOMO energy is -9.82 eV.

Geometry (Å):
F 0.4261 -0.5164 -1.4736
P 0.2007 0.3711 -0.2341
F -0.1816 1.7289 -0.9184
S 1.8613 0.3434 0.8469
S -1.6289 -0.6584 0.5548
H -0.6777 -1.2687 1.2245

Forces on the atoms, in the same order (eV/Å):
F -0.2 0.0 -0.9
P 1.1 -0.7 1.8
F -0.3 -0.7 0.5
S -2.3 0.3 -0.9
S 1.3 1.9 -1.1
H 0.3 -0.7 0.7

Atomic charges from the Mulliken analysis, expressed in e, are listed below: F -0.152; P 0.627; F -0.176; S -0.306; S -0.199; H 0.206


(3)
Density functional theory data (wB97M-V/def2-TZVPD) for an isolated molecule of C9H14BrNO2.

For the HOMO-LUMO gap, the calculation gives 9.405 eV. Its charge is 0. As for the SMILES: C[C@H]1C=CC[C@](C)(Br)[C@@]1(C)[N+](=O)[O-]. The HOMO energy is -9.19 eV.

Geometry (Å):
C -2.0288 1.6581 0.0528
C -0.6172 1.3886 0.4477
C -0.3187 0.9617 1.8312
C 0.6921 0.1541 2.2348
C 1.3665 -0.7607 1.3806
C 1.2036 -0.4584 -0.1490
C 1.6321 -1.6921 -0.9617
Br 2.4714 0.9517 -0.5255
C -0.1682 -0.0267 -0.5893
C -0.3596 0.2306 -2.0882
N -1.1384 -1.0406 -0.1486
O -0.8990 -1.5574 0.9167
O -2.2066 -1.1012 -0.7445
H -2.0950 2.4754 -0.7903
H -2.4732 2.0929 0.9376
H -2.5666 0.8035 -0.2605
H 0.1763 2.1049 0.1762
H -0.8789 1.3584 2.6260
H 0.7899 -0.0127 3.2618
H 2.3990 -0.8162 1.6643
H 0.9004 -1.7481 1.5424
H 0.9376 -2.5436 -0.6675
H 2.6597 -1.7604 -0.5329
H 1.5824 -1.4931 -2.0481
H -1.3641 0.3560 -2.5443
H 0.0231 -0.6307 -2.6415
H 0.2801 1.1059 -2.3803

Forces on atoms 1 to 6 (eV/Å):
C 0.3 3.7 -0.7
C 1.6 -3.3 -2.3
C 1.7 -0.7 0.5
C -2.8 1.8 -0.8
C 0.6 -1.1 -1.9
C 0.3 -1.1 0.2

Atomic charges from the Mulliken analysis, expressed in e, are listed below: C -1.286; C 0.628; C -0.405; C -0.824; C -1.102; C 0.509; C -1.386; Br 0.003; C 0.216; C -1.903; N 1.159; O -0.627; O -0.700; H 0.225; H 0.453; H 0.360; H 0.523; H 0.384; H 0.481; H 0.555; H 0.402; H 0.304; H 0.475; H 0.376; H 0.394; H 0.437; H 0.349


(4)
Density functional theory data (wB97M-V/def2-TZVPD) for C32H46CrGeIN4O5P as an isolated structure.

For the HOMO-LUMO gap (spin up / spin down), the calculation gives 4.212 / 6.601 eV. Its charge is -2. The HOMO energy (spin up / spin down) is 0.07 / -2.33 eV. Its spin multiplicity is 5. The expectation value of S² is 6.0658.

Geometry (Å):
Cr 0.5783 0.5919 0.9078
C 3.7995 -0.8505 3.5144
C 4.9577 -0.6018 2.7501
C 4.8324 -0.1012 1.4869
C 3.5453 0.1681 0.9473
N 2.4225 -0.0577 1.7168
C 2.5784 -0.5543 2.9388
C 3.3211 0.6518 -0.3615
C 4.3328 0.8523 -1.3401
C 3.9936 1.2950 -2.5891
C 2.6443 1.5603 -2.8984
C 1.7122 1.3523 -1.8944
N 2.0102 0.9068 -0.6863
H 3.8441 -1.2461 4.5194
H 5.9423 -0.7998 3.1601
H 5.7142 0.1051 0.8948
H 1.6612 -0.7199 3.4822
H 5.3687 0.6573 -1.0956
H 4.7667 1.4499 -3.3345
H 2.3362 1.9255 -3.8680
H 0.6602 1.5527 -2.0480
O -0.2384 -0.9634 -0.1059
C -0.8313 -1.9498 -0.8105
C -2.6219 -2.1097 -2.7162
C -2.2784 -3.5017 -3.1575
C -1.1882 -4.2463 -2.9495
C 0.0101 -3.9711 -2.1591
C 0.1898 -3.0164 -1.2399
C 1.4868 -2.9976 -0.5260
N 1.7230 -3.4399 0.6854
C 3.0724 -3.2675 0.8853
C 3.6539 -2.7167 -0.2174
N 2.6314 -2.5655 -1.1227
H -3.3807 -2.1858 -1.9280
H -3.0565 -3.9630 -3.7640
H -1.1906 -5.2253 -3.4235
********

Next, restate everything earlier on without altering anything.

(1)
Density functional theory data (wB97M-V/def2-TZVPD) for a 2-piece molecular cluster, C2H3IN2 overall.

For the HOMO-LUMO gap, the calculation gives 6.888 eV. Its charge is 0. The HOMO energy is -8.87 eV.

Geometry (Å):
C -1.5246 0.0879 -0.6444
C 1.0136 -0.4205 0.6040
N -2.1662 -0.8431 -0.9497
N -0.6375 0.9019 -0.4682
I 2.5465 -0.7564 -0.7985
H 1.2930 0.3947 1.2715
H 0.1951 -1.0772 0.7278
H -0.7198 1.7128 0.2575

Forces on atoms 1 to 6 (eV/Å):
C -4.3 -4.9 -1.2
C 0.2 2.7 -2.3
N -0.4 0.2 0.2
N 6.5 5.6 3.6
I -1.2 0.0 0.9
H -0.3 -0.6 0.2

Atomic charges from the Mulliken analysis, expressed in e, are listed below: C 0.444; C -0.600; N -0.522; N -0.544; I 0.221; H 0.297; H 0.429; H 0.274


(2)
Density functional theory data (wB97M-V/def2-TZVPD) for an isolated molecule of F2HPS2.

For the HOMO-LUMO gap, the calculation gives 9.265 eV. Its charge is 0. As for the SMILES: FP(F)(=S)S. The HOMO energy is -9.82 eV.

Geometry (Å):
F 0.4261 -0.5164 -1.4736
P 0.2007 0.3711 -0.2341
F -0.1816 1.7289 -0.9184
S 1.8613 0.3434 0.8469
S -1.6289 -0.6584 0.5548
H -0.6777 -1.2687 1.2245

Forces on the atoms, in the same order (eV/Å):
F -0.2 0.0 -0.9
P 1.1 -0.7 1.8
F -0.3 -0.7 0.5
S -2.3 0.3 -0.9
S 1.3 1.9 -1.1
H 0.3 -0.7 0.7

Atomic charges from the Mulliken analysis, expressed in e, are listed below: F -0.152; P 0.627; F -0.176; S -0.306; S -0.199; H 0.206


(3)
Density functional theory data (wB97M-V/def2-TZVPD) for an isolated molecule of C9H14BrNO2.

For the HOMO-LUMO gap, the calculation gives 9.405 eV. Its charge is 0. As for the SMILES: C[C@H]1C=CC[C@](C)(Br)[C@@]1(C)[N+](=O)[O-]. The HOMO energy is -9.19 eV.

Geometry (Å):
C -2.0288 1.6581 0.0528
C -0.6172 1.3886 0.4477
C -0.3187 0.9617 1.8312
C 0.6921 0.1541 2.2348
C 1.3665 -0.7607 1.3806
C 1.2036 -0.4584 -0.1490
C 1.6321 -1.6921 -0.9617
Br 2.4714 0.9517 -0.5255
C -0.1682 -0.0267 -0.5893
C -0.3596 0.2306 -2.0882
N -1.1384 -1.0406 -0.1486
O -0.8990 -1.5574 0.9167
O -2.2066 -1.1012 -0.7445
H -2.0950 2.4754 -0.7903
H -2.4732 2.0929 0.9376
H -2.5666 0.8035 -0.2605
H 0.1763 2.1049 0.1762
H -0.8789 1.3584 2.6260
H 0.7899 -0.0127 3.2618
H 2.3990 -0.8162 1.6643
H 0.9004 -1.7481 1.5424
H 0.9376 -2.5436 -0.6675
H 2.6597 -1.7604 -0.5329
H 1.5824 -1.4931 -2.0481
H -1.3641 0.3560 -2.5443
H 0.0231 -0.6307 -2.6415
H 0.2801 1.1059 -2.3803

Forces on atoms 1 to 6 (eV/Å):
C 0.3 3.7 -0.7
C 1.6 -3.3 -2.3
C 1.7 -0.7 0.5
C -2.8 1.8 -0.8
C 0.6 -1.1 -1.9
C 0.3 -1.1 0.2

Atomic charges from the Mulliken analysis, expressed in e, are listed below: C -1.286; C 0.628; C -0.405; C -0.824; C -1.102; C 0.509; C -1.386; Br 0.003; C 0.216; C -1.903; N 1.159; O -0.627; O -0.700; H 0.225; H 0.453; H 0.360; H 0.523; H 0.384; H 0.481; H 0.555; H 0.402; H 0.304; H 0.475; H 0.376; H 0.394; H 0.437; H 0.349


(4)
Density functional theory data (wB97M-V/def2-TZVPD) for C32H46CrGeIN4O5P as an isolated structure.

For the HOMO-LUMO gap (spin up / spin down), the calculation gives 4.212 / 6.601 eV. Its charge is -2. The HOMO energy (spin up / spin down) is 0.07 / -2.33 eV. Its spin multiplicity is 5. The expectation value of S² is 6.0658.

Geometry (Å):
Cr 0.5783 0.5919 0.9078
C 3.7995 -0.8505 3.5144
C 4.9577 -0.6018 2.7501
C 4.8324 -0.1012 1.4869
C 3.5453 0.1681 0.9473
N 2.4225 -0.0577 1.7168
C 2.5784 -0.5543 2.9388
C 3.3211 0.6518 -0.3615
C 4.3328 0.8523 -1.3401
C 3.9936 1.2950 -2.5891
C 2.6443 1.5603 -2.8984
C 1.7122 1.3523 -1.8944
N 2.0102 0.9068 -0.6863
H 3.8441 -1.2461 4.5194
H 5.9423 -0.7998 3.1601
H 5.7142 0.1051 0.8948
H 1.6612 -0.7199 3.4822
H 5.3687 0.6573 -1.0956
H 4.7667 1.4499 -3.3345
H 2.3362 1.9255 -3.8680
H 0.6602 1.5527 -2.0480
O -0.2384 -0.9634 -0.1059
C -0.8313 -1.9498 -0.8105
C -2.6219 -2.1097 -2.7162
C -2.2784 -3.5017 -3.1575
C -1.1882 -4.2463 -2.9495
C 0.0101 -3.9711 -2.1591
C 0.1898 -3.0164 -1.2399
C 1.4868 -2.9976 -0.5260
N 1.7230 -3.4399 0.6854
C 3.0724 -3.2675 0.8853
C 3.6539 -2.7167 -0.2174
N 2.6314 -2.5655 -1.1227
H -3.3807 -2.1858 -1.9280
H -3.0565 -3.9630 -3.7640
H -1.1906 -5.2253 -3.4235